Listing:
+++
# 1
Material: La6Tb2NdY
Method: DFT, PBE
State: optimized geometry

Results
For the formation energy, the calculation gives 0.10 eV/atom. The calculation puts the size of the total moment at 0.00 μB per cell. The total energy is -4.904 eV/atom.

Geometry as POSCAR:
```
La6Tb2NdY
1.0
4.648 -7.778 0.000
4.648 7.778 0.000
-1.540 0.000 9.825
La Tb Nd Y
12 4 2 2
Direct
0.010 0.563 0.190
0.109 0.757 0.551
0.243 0.891 0.949
0.295 0.504 0.378
0.437 0.990 0.310
0.496 0.705 0.122
0.504 0.295 0.878
0.563 0.010 0.690
0.705 0.496 0.622
0.757 0.109 0.051
0.891 0.243 0.449
0.990 0.437 0.810
0.193 0.290 0.044
0.290 0.193 0.544
0.710 0.807 0.456
0.807 0.710 0.956
0.408 0.592 0.750
0.592 0.408 0.250
0.025 0.975 0.250
0.975 0.025 0.750
```

# 2
Material: LaTbNdZn
Method: DFT, PBE
State: optimized geometry

Results
For the formation energy, the calculation gives 0.03 eV/atom. The calculation puts the size of the total moment at 0.00 μB per cell. The total energy is -3.873 eV/atom. The polymorph energy (0 for the lowest one) comes out at 180 meV per atom.

Geometry as POSCAR:
```
LaTbNdZn
1.0
7.781 0.000 0.000
0.000 7.781 0.000
0.000 0.000 7.781
La Tb Nd Zn
4 4 4 4
Direct
0.000 0.000 0.000
0.000 0.500 0.500
0.500 0.000 0.500
0.500 0.500 0.000
0.250 0.250 0.250
0.250 0.750 0.750
0.750 0.250 0.750
0.750 0.750 0.250
0.000 0.000 0.500
0.000 0.500 0.000
0.500 0.000 0.000
0.500 0.500 0.500
0.250 0.250 0.750
0.250 0.750 0.250
0.750 0.250 0.250
0.750 0.750 0.750
```
+++

To do:
Reproduce the whole of the calculation results further up word for word.

Solution:
# 1
Material: La6Tb2NdY
Method: DFT, PBE
State: optimized geometry

Results
For the formation energy, the calculation gives 0.10 eV/atom. The calculation puts the size of the total moment at 0.00 μB per cell. The total energy is -4.904 eV/atom.

Geometry as POSCAR:
```
La6Tb2NdY
1.0
4.648 -7.778 0.000
4.648 7.778 0.000
-1.540 0.000 9.825
La Tb Nd Y
12 4 2 2
Direct
0.010 0.563 0.190
0.109 0.757 0.551
0.243 0.891 0.949
0.295 0.504 0.378
0.437 0.990 0.310
0.496 0.705 0.122
0.504 0.295 0.878
0.563 0.010 0.690
0.705 0.496 0.622
0.757 0.109 0.051
0.891 0.243 0.449
0.990 0.437 0.810
0.193 0.290 0.044
0.290 0.193 0.544
0.710 0.807 0.456
0.807 0.710 0.956
0.408 0.592 0.750
0.592 0.408 0.250
0.025 0.975 0.250
0.975 0.025 0.750
```

# 2
Material: LaTbNdZn
Method: DFT, PBE
State: optimized geometry

Results
For the formation energy, the calculation gives 0.03 eV/atom. The calculation puts the size of the total moment at 0.00 μB per cell. The total energy is -3.873 eV/atom. The polymorph energy (0 for the lowest one) comes out at 180 meV per atom.

Geometry as POSCAR:
```
LaTbNdZn
1.0
7.781 0.000 0.000
0.000 7.781 0.000
0.000 0.000 7.781
La Tb Nd Zn
4 4 4 4
Direct
0.000 0.000 0.000
0.000 0.500 0.500
0.500 0.000 0.500
0.500 0.500 0.000
0.250 0.250 0.250
0.250 0.750 0.750
0.750 0.250 0.750
0.750 0.750 0.250
0.000 0.000 0.500
0.000 0.500 0.000
0.500 0.000 0.000
0.500 0.500 0.500
0.250 0.250 0.750
0.250 0.750 0.250
0.750 0.250 0.250
0.750 0.750 0.750
```